Here’s a copy of the newsletter i sent out to the Sensophy family today.


Hey Homey.


Let’s keep it completely real…


Two questions for you. Here’s the first:


Why did you sign up to get this newsletter?


Think back for a second.


Was it because you wanted the Happiness Habits report? Or did you read something on Sensophy that touched your heart and inspired your sense of what’s possible with your life?


Maybe it was when we did the impossible and got Gary Vee to take me to the Jets game. Or it could have been when we tapped into the “unrealistic” accomplishments of 48 people and saw how they defied what others said was possible in search of something more personally meaningful.


You signed up for a reason. See if you can remember why.


Here’s something I don’t often mention on Sensophy:


It’s my reason why. Not just why I created the email you’re receiving… not just why I created that thing that inspired you… but why I started Sensophy back in June of 2010.


My WHY was this.


Flashback. March 2010. Picture it. Hawaii. Me. Shirtless. Daily 4 mile jogs to and from one of the most beautiful beaches in the world. Headphones in ears. Wisdom in heart. Wondering. Imagining. Exploring. Discovering. Opening. Dreaming. Living. Possibilitizing.


Now rewind 1 year. March 2009. NYC. Slacks. Shoes. Water-coolers. Weekdays. Stress. Anxiety. Emptiness. Depression. And over 150 emails per day in my inbox. “Fix this. That broke. Email’s aren’t sending. PCs won’t boot.” Welcome to the IT help desk.


My job: Put out fires. Calm freaking out people down. Fix problems. Create solutions. Manage emotions. Remain tranquil.


Good pay, yes. Good vibes, no.


It was a classic case of doing what society told me I “should” do. Get the job. Pay the bills. Shut up and take it. Don’t ask questions. Questions could expose the smoking mirrors and unravel the illusion.


I was faking the funk. Pretending it was all good when it wasn’t. Wishing there was more but not having the slightest clue what it would be.


Living On Purpose? I was about the furthest thing from it. But in retrospect, it was exactly where I needed to be at the time. Just as, whether you realize this or not, you’re exactly where you need to be right now.


How do I know this?


Because it’s exactly where you are!!


Fast forward back to Hawaii. Peace. Tranquility. Equanimity. Soul. Love. Excitement. Life. I remember asking myself the question, “What one great thing would I dare to dream, if I knew I couldn’t fail?”


MAN. Even just allowing myself to ask that question was a world away from my comfort zone. Think Earth to Mars. Well, I came up with an answer to that question that 3 months later, June 2010, would turn into the launch of Sensophy.


Here it was:


I’d inspire and empower a million people to feel the changes that I’ve felt in my life. That was it!! I just wanted you to know it was possible. I wanted you to experience that feeling of emptiness being metamorphosized into peace and fulfillment. That was my ultimate dream.


After another 3 months of conscious living and consistent journaling, I came to it. It was where my skills (writing, technology, art), met my excitement (wisdom, living an extraordinary life, travel), in service to you (inspiration and empowerment).


BOOM. The big bang. Welcome: Sensophy!


Early on, Sensophy was about asking quality questions. Then we talked about my extraordinary travel tales. And eventually, it evolved into everyday epiphanies. This is where an extraordinary life was taking me.


14 months, 110+ posts published, and 25,000 different visitors later, here we are. With exponential growth in mind, a million people inspired and empowered isn’t all that far away.


Here comes that second question which I’ve got for you…


When I left my career last year, I had a certain amount of money budgeted and saved. That’s what’s enabled me to spend the last 14 months pouring myself completely into Sensophy for as much as 60 hours some weeks.


I purposely didn’t wanna dilute the purity here. Why would I cut off the direct line of communication to my soul just to make a couple quick dollars. At the time, I worked strictly for karma because I could.


Faith. Faith. Faith.


But in the next couple of months, I’ll come to a different position financially. And I’m doing everything I can right now to make sure it’s a pleasurable position. One that insures the survival and growth of Sensophy.


In other words. It’s time to make a living here!!!


Welcome: Living On Purpose!

┌──
143
Properties=species:S:1:pos:R:3:forces:R:3 method="wB97M-V/def2-TZVPD" homo_ev="0.0433 / -2.5894" gap_ev="3.6 / 6.2" total_charge=-2 spin_multiplicity=2
Rb -0.371 -0.123 -0.166 -0.5 0.7 0.9
O -2.078 -1.618 1.525 0.0 0.0 0.0
C -3.038 -1.468 2.336 -0.1 0.1 0.0
C -4.203 -2.308 2.295 0.0 0.0 0.0
C -5.247 -2.175 3.175 -0.1 -0.1 0.0
C -5.252 -1.182 4.164 0.0 0.1 0.1
C -4.164 -0.338 4.224 -0.1 0.0 0.0
C -3.061 -0.466 3.371 0.1 0.0 0.0
C -2.012 0.514 3.526 0.1 0.0 0.0
N -0.816 0.436 3.066 0.0 0.1 0.0
N -0.146 1.654 3.244 -0.1 -0.1 -0.1
C 1.004 1.672 2.679 0.2 0.1 0.0
O 1.636 0.639 2.125 -0.1 -0.5 -0.1
C 1.712 2.980 2.579 0.0 0.0 0.1
C 2.862 3.105 1.810 0.0 0.0 0.0
C 3.499 4.331 1.679 0.0 0.0 0.0
C 2.997 5.442 2.337 0.0 0.0 0.0
C 1.852 5.322 3.117 0.0 0.0 0.0
C 1.207 4.104 3.232 0.0 0.0 0.0
H -4.232 -3.079 1.537 0.0 0.0 0.0
H -6.093 -2.851 3.092 0.0 0.0 0.0
H -6.088 -1.070 4.841 0.0 0.0 0.0
H -4.142 0.463 4.959 0.0 0.0 0.0
H -2.284 1.431 4.063 0.0 0.0 0.0
H 3.242 2.240 1.291 0.0 0.0 0.0
H 4.374 4.410 1.046 0.0 0.0 0.0
H 3.486 6.403 2.234 0.0 0.0 0.0
H 1.452 6.190 3.627 0.0 0.0 0.0
H 0.301 4.004 3.813 0.0 0.0 0.0
S -6.185 1.526 -1.418 0.0 0.0 0.0
C -7.741 2.028 -1.955 -0.1 0.0 0.0
C -7.674 3.200 -2.644 0.0 -0.1 0.0
C -6.355 3.706 -2.745 0.0 0.0 0.0
C -5.412 2.913 -2.121 0.1 0.0 0.0
C -3.989 3.117 -2.033 -0.1 0.0 0.0
C -3.155 2.240 -1.314 0.0 -0.1 0.0
N -1.852 2.323 -1.209 -0.1 -0.2 -0.1
C -1.218 3.355 -1.865 0.0 0.0 0.1
C -1.971 4.329 -2.590 0.1 0.0 0.0
C -1.252 5.405 -3.230 0.0 0.0 0.0
C 0.092 5.479 -3.187 0.0 0.0 0.0
C 0.874 4.484 -2.506 -0.1 0.0 0.0
C 2.259 4.481 -2.526 0.0 0.0 0.0
C 2.961 3.442 -1.918 -0.1 0.0 0.0
C 2.191 2.469 -1.248 0.0 0.0 0.1
N 0.890 2.464 -1.155 -0.1 -0.1 -0.1
C 0.188 3.431 -1.826 0.0 0.1 0.0
C 4.405 3.300 -1.929 0.0 -0.1 0.0
C 5.133 2.139 -1.833 0.0 0.1 -0.1
C 6.533 2.364 -1.849 0.0 0.1 0.0
C 6.864 3.680 -1.963 0.0 0.0 0.0
S 5.459 4.668 -2.031 0.0 0.0 0.0
C -3.341 4.204 -2.668 0.0 0.0 0.0
H -8.611 1.435 -1.729 0.0 0.0 0.0
H -8.539 3.691 -3.068 0.0 0.0 0.0
H -6.106 4.626 -3.252 0.0 0.0 0.0
H -3.607 1.403 -0.779 0.0 0.0 0.0
H -1.829 6.154 -3.762 0.0 0.0 0.0
H 0.616 6.288 -3.686 0.0 0.0 0.0
H 2.781 5.268 -3.062 0.0 0.0 0.0
H 2.699 1.650 -0.755 0.0 0.0 0.0
H 4.668 1.163 -1.823 -0.1 0.0 0.0
H 7.264 1.569 -1.797 0.0 0.0 0.0
H 7.845 4.120 -2.015 0.0 0.0 0.0
H -3.906 4.937 -3.232 0.0 0.0 0.0
C 1.613 -4.016 4.140 0.0 -0.1 -0.1
Si 0.507 -3.123 2.875 -0.1 0.1 -0.1
C -1.191 -3.510 3.559 0.2 0.0 0.1
C 0.784 -3.917 1.194 0.0 0.0 0.1
Ge 1.743 -1.059 2.995 0.4 0.2 0.1
Si 2.114 -0.350 5.278 -0.1 0.0 -0.1
C 3.064 -1.626 6.302 0.0 0.0 0.0
C 0.491 -0.032 6.174 0.1 0.0 0.0
C 3.194 1.197 5.335 0.0 -0.1 0.1
Si 3.955 -1.555 2.077 -0.1 0.1 0.1
C 3.973 -1.980 0.263 0.0 0.0 0.0
C 4.832 -2.991 2.953 0.0 0.1 0.0
C 5.048 -0.051 2.383 0.0 -0.1 0.0
H 1.536 -5.090 3.949 0.0 -0.1 0.0
H 1.225 -3.838 5.145 0.0 0.0 0.0
H 2.665 -3.752 4.133 0.1 0.0 0.0
H -1.090 -4.478 4.061 0.0 0.0 0.0
H -1.929 -3.586 2.769 0.0 0.0 0.0
H -1.551 -2.784 4.287 0.0 0.1 0.0
└──
So much for the records of molecules


This is the guide I wish I had read 2 years ago. I’ve gone out and created, what I believe to be, an extraordinary amount of value for anyone who’s in a similar situation as I was: Doing “the right thing” and not being fulfilled by it.


Then I asked myself, “How can I create even MORE value?” as if writing a guide for people to find THEIR PURPOSE IN LIFE wasn’t the most valuable thing you could think of.


So, I created 40+ exercises to go with the 160 pages in the Living On Purpose guide. Then I said, well, some people may prefer to hear it then to read it. Welcome: the *audio* version.


And other people may rather watch it than listen to it. Welcome: the *video* version.


Plus, I think people could really benefit from other People On Purpose’s viewpoint. Then I went out and interviewed 10 extraordinary people who’ve found their purpose in order to see how they could help you do the same.


August 30th, 2011, all of this will be available.


Now, in my heart, I know I’ve create a package of ridiculous value here. But that’s only ½ the work. The other ½ is directing people to that value and having them purchase it.


Well, here’s question number two:


Do you know any ways I can drive an obscene amount of traffic to Sensophy on August 30th for the official launch of Living On Purpose?


Maybe you have a connection at a big online publication like The Huffington Post or and could introduce me so we can schedule a guest post that day. Or maybe you have a relationship with one of your favorite bloggers who has a massive following. I’d love to get them involved by submitting a guest post, doing an interview with them, having them review Living On Purpose, or even offering them a 51% affiliate kick back.


Whether it’s promoting Living On Purpose with your own social network, or tapping into your connections, any help you can contribute here will make all the difference in how we can continue to inspire and empower people.


Homey, this would mean the world to me!


Exciting times!!


Talk soon.

On purpose,



PS: Sensophy’s  new website design is coming soon. My buddy Mike Bridgman is helping to pump something sweet out within the next week or two. It’s been another behind the scenes project in the works for a while. WORD!